

But, of course, until they were scragged for it on Twitter, the City did not have the mosques on the list they provided of shelters....

### Calculated crystals, as found in the file
+++
Structure and theoretical powder X-ray diffraction pattern of Zr2Pd7 (a GGA-PBE-relaxed structure; Cu Kα (weighted mean of Kα1 and Kα2)).
Neutral-atom scattering factors, no anomalous dispersion.

Peak list (10 most intense, 2θ = 10–90°, low angle first)
| hkl | d (Å) | 2theta | I (rel.) |
| --- | --- | --- | --- |
| 2 0 0 | 2.440 | 36.83 | 23 |
| 2 0 1 | 2.380 | 37.79 | 24 |
| 0 0 6 | 2.295 | 39.25 | 76 |
| 2 0 2 | 2.260 | 39.89 | 31 |
| 1 3 -3 | 2.230 | 40.45 | 100 |
| 1 3 3 | 2.176 | 41.51 | 92 |
| 2 0 -4 | 2.047 | 44.25 | 22 |
| 0 6 0 | 1.463 | 63.58 | 18 |
| 3 3 -1 | 1.422 | 65.67 | 25 |
| 0 6 6 | 1.234 | 77.33 | 19 |

Atomic structure:
```
data_Zr2Pd7
_chemical_formula_sum 'Zr8 Pd28'
_symmetry_space_group_name_H-M 'C 1 2/m 1'
_symmetry_Int_Tables_number 12
_cell_length_a 4.8887
_cell_length_b 8.7808
_cell_length_c 13.7930
_cell_angle_alpha 90.00
_cell_angle_beta 93.27
_cell_angle_gamma 90.00
loop_
_symmetry_equiv_pos_as_xyz
'x,y,z'
'-x,-y,-z'
'-x,y,-z'
'x,-y,z'
'x+1/2,y+1/2,z'
'-x+1/2,-y+1/2,-z'
'-x+1/2,y+1/2,-z'
'x+1/2,-y+1/2,z'
loop_
_atom_site_label
_atom_site_fract_x
_atom_site_fract_y
_atom_site_fract_z
Zr1 0.2293 0.0000 0.0962
Zr2 0.2374 0.5000 0.5954
Pd1 0.0815 0.1775 0.2495
Pd2 0.1157 0.5000 0.2503
Pd3 0.2196 0.3385 0.0797
Pd4 0.2283 0.1621 0.5803
```

---

Structure and theoretical powder X-ray diffraction pattern of TbBH8SO10 (a GGA-PBE-relaxed structure; Cu Kα (weighted mean of Kα1 and Kα2)).
Neutral-atom scattering factors, no anomalous dispersion.

Peak list (10 most intense, 2θ = 10–90°, low angle first)
| hkl | d (Å) | 2theta | I (rel.) |
| --- | --- | --- | --- |
| 0 1 1 | 5.935 | 14.93 | 66 |
| 1 0 0 | 5.724 | 15.48 | 87 |
| 0 1 -1 | 5.017 | 17.68 | 57 |
| 0 0 2 | 4.661 | 19.04 | 100 |
| 1 1 0 | 4.314 | 20.59 | 40 |
| 1 0 2 | 4.103 | 21.66 | 42 |
| -1 1 1 | 3.868 | 22.99 | 33 |
| 0 2 1 | 3.328 | 26.79 | 81 |
| 1 2 1 | 2.969 | 30.10 | 34 |
| -2 1 1 | 2.453 | 36.64 | 34 |

Atomic structure:
```
data_TbBH8SO10
_chemical_formula_sum 'Tb2 B2 H16 S2 O20'
_symmetry_space_group_name_H-M 'P -1'
_symmetry_Int_Tables_number 2
_cell_length_a 5.8823
_cell_length_b 6.7673
_cell_length_c 9.7320
_cell_angle_alpha 79.76
_cell_angle_beta 76.69
_cell_angle_gamma 88.33
loop_
_symmetry_equiv_pos_as_xyz
'x,y,z'
'-x,-y,-z'
loop_
_atom_site_label
_atom_site_fract_x
_atom_site_fract_y
_atom_site_fract_z
Tb1 0.0829 0.3192 0.2765
B1 0.4160 0.6664 0.7302
H1 0.1819 0.8029 0.1165
H2 0.2228 0.7408 0.9182
H3 0.2431 0.4108 0.9543
H4 0.2651 0.0117 0.0169
H5 0.4158 0.7230 0.5136
H6 0.4341 0.2585 0.0060
H7 0.4724 0.6200 0.2889
H8 0.4986 0.9727 0.6985
S1 0.1312 0.2034 0.6568
O1 0.0207 0.3399 0.7573
O2 0.0273 0.0031 0.7186
O3 0.0825 0.2753 0.5154
O4 0.2103 0.6390 0.8560
O5 0.2656 0.2928 0.0288
O6 0.2917 0.8660 0.0269
O7 0.3090 0.6790 0.6079
O8 0.3881 0.1978 0.6478
O9 0.4217 0.5026 0.2561
O10 0.4370 0.1613 0.2741
```

---
+++

“Then the King will say to those on his right, ‘Come, you who are blessed by my Father; take your inheritance, the kingdom prepared for you since the creation of the world. For I was hungry and you gave me something to eat, I was thirsty and you gave me something to drink, I was a stranger and you invited me in...once

That always drives me nuts about some ‘Christians’ - especially the Church Of Prosperity types. It’s apparently OK for them to believe that they’re doing God’s will by just prayers alone, and throwing money at a plate, and believe that what you’re doing is somehow sufficient. But the works of God only take root in the

Murderer Fingered By Parrot

I woke up one morning and I was “gifted” with MS. My life lost at least five years, and I ended up getting divorced because my ex wasn’t willing to help pick up the slack of what I couldn’t do anymore, declaring bankruptcy, and continually dealing with family court. You know what God’s got? A hardon for fucking with

For me, it was the aftermath of a suicide bombing that really sealed the deal. Where was god when a 20-year-old bomber entered an open air market, looked around for the busiest stall, walked over to it and detonated his explosive belt? Where was god for the seven civilians who died? In particular, how did god “got

Hi! Fellow apostate here. To take that further, the faithful will say that your argument presupposes you, a mortal, are capable of understanding the plan of God, the unknowable, infinite, etc. It’s not as simple as that, they say, because God’s plan is too complex and far-reaching for any of us to fully understand.

But But But Terrorism!

Yeah, I like how they left some carefully-worded conditions in their statement that make it possible for them to continue to sit on their “thoughts and prayers” bullshit.

I had basically that same conversation with myself ~20 years ago while I was pulling the still-burning bodies out of a crashed 747. Seeing the few surviving children taken to the hospital, knowing they’d live a “blessed” life with 80% of their body covered in burn scars and no parents......

Seeing “god” at his/her/its

“We are prepared to shelter people once the cities and county shelters reach capacity. Lakewood will be a value to the community in the aftermath of this storm in helping our fellow citizens rebuild their lives.”

“God’s got this.”

Yeah, that’s right across the street. I didn’t realize how much lower they were than we are. My car is dry on this side of the road.

How do you look at that slimy, used car salesman face and not immediately know he’s a con man? I just don’t get religious folks. I don’t get how they can be so naive that they keep falling for scam artists like him.

watching this hypocrite’s ark has been really enlightening. 

Dumb and Dumber 4 opening in Texas shortly.

Trump’s outfit is fine. Melania’s choice in footwear is the opposite of fine. For reference, here’s Obama in his disaster surveying gear. Of all the things he’s done related to Harvey, his choice of clothes is far and away the least offensive.